Friday, October 09, 2020

A Busy Friday (unexpected memorial and other adventures)

**Unrelated to this article: records of molecules:**
-- begin --
{
  "formula": "C5H35NO14",
  "method": "ωB97M-V with the def2-TZVPD basis set",
  "species": ["O", "O", "O", "O", "O", "O", "O", "O", "O", "O", "O", "O", "O", "O", "N", "C", "C", "C", "C", "C", "H", "H", "H", "H", "H", "H", "H", "H", "H", "H", "H", "H", "H", "H", "H", "H", "H", "H", "H", "H", "H", "H", "H", "H", "H", "H", "H", "H", "H", "H", "H", "H", "H", "H", "H"],
  "coordinates": [[-0.021, -1.997, -0.549], [2.616, -0.625, -2.291], [1.943, 1.482, -0.413], [1.102, 2.280, 2.090], [1.978, -1.109, 1.055], [-4.085, -2.234, -2.516], [0.614, -1.790, 4.379], [-1.896, -0.901, 4.498], [0.384, -3.137, -3.017], [2.407, 0.193, 3.383], [-1.118, 1.799, 3.686], [0.867, 3.120, -3.030], [0.927, 0.453, -4.346], [0.085, -3.797, 2.157], [-0.623, 0.057, 0.055], [-0.959, 1.689, -2.361], [-1.048, 2.213, -0.901], [-0.931, -1.204, -0.411], [-1.547, 1.115, 0.055], [-0.473, 2.722, -3.340], [1.555, 1.202, -1.254], [-1.976, 0.036, 4.266], [-3.659, -3.010, -2.133], [1.429, 2.615, -3.633], [-0.799, -3.630, 2.499], [-1.229, 2.595, 4.214], [-1.944, -1.336, -0.802], [-3.392, -1.681, -2.899], [0.020, -3.983, -3.302], [1.543, -0.271, -4.147], [2.642, 0.816, -0.320], [-2.565, 0.867, -0.209], [-0.274, 0.843, -2.276], [-0.171, 2.800, -0.659], [-0.397, 1.994, 3.061], [2.857, 0.287, 4.233], [-1.838, 2.972, -0.895], [-1.806, -1.002, 5.448], [1.593, 1.650, 2.669], [1.195, 1.976, 1.171], [-1.947, 1.362, -2.702], [-0.098, -2.951, -2.195], [0.363, 0.341, 0.264], [0.743, 0.251, -5.276], [1.936, -1.295, -2.143], [1.634, -0.329, 3.686], [3.445, -1.044, -2.033], [1.272, -1.678, 0.738], [0.620, -3.017, 2.375], [-0.986, 3.687, -3.291], [-1.658, 1.599, 1.038], [-0.319, -1.479, 4.253], [-0.568, 2.343, -4.352], [0.520, -2.750, 4.401], [2.038, -1.108, 2.020]],
  "lowdin_spin": [0.22, 0.00, 0.00, 0.00, 0.01, 0.00, 0.00, 0.00, 0.00, 0.00, 0.00, 0.00, 0.00, 0.00, 0.46, 0.02, 0.08, 0.00, 0.12, 0.01, 0.00, 0.00, 0.00, 0.00, 0.00, 0.00, 0.00, 0.00, 0.00, 0.00, 0.00, 0.00, 0.00, 0.00, 0.00, 0.00, 0.00, 0.00, 0.00, 0.00, 0.00, 0.00, 0.00, 0.00, 0.00, 0.00, 0.00, 0.00, 0.00, 0.00, 0.05, 0.00, 0.00, 0.00, 0.00],
  "charge": 1,
  "gap_ev": [9.34, 4.56],
  "spin_multiplicity": 2,
  "e_above_lowest_kj_mol": 228.0,
  "energy_ev": -35900.24746,
  "s_squared": 0.77,
  "lumo_ev": [-3.92, -8.66],
  "homo_energy_ha": [-0.4872, -0.4860]
}

=====

61
Properties=species:S:1:pos:R:3:lowdin_spin:R:1 method="wB97M-V/def2-TZVPD" s_squared=2.0136 spin_multiplicity=3 de_lowest_kcal_mol=18.3 energy_ha=-4089.2856
C -2.3149 1.9377 4.7918 0.00
O -1.2663 1.6157 1.2957 -0.01
C -2.9685 1.5882 -2.7151 0.01
H -1.5879 -6.1454 0.0414 0.00
H 0.2374 1.8031 5.0540 0.00
C -0.3839 -3.2715 -1.2736 -0.01
H 4.5686 1.4738 4.1002 0.00
C -4.1921 2.1593 3.3401 0.00
H -3.7403 2.2583 -3.0714 0.00
H -0.6737 -3.9542 0.7366 0.00
S 0.0108 -1.5546 1.7015 0.38
C -1.9930 1.7611 2.3961 0.00
C 3.0827 1.3020 2.7276 0.01
H 2.1187 0.3365 -2.9598 0.00
H -1.1467 -5.0281 -4.0687 0.00
H 0.3731 1.4887 -2.2223 0.00
Sb 0.4371 -1.3742 -0.7878 0.21
-- stop --

Suddenly the news is saying that NJ may be at/near
 the tipping point for the Dread Virus returning/spiking.
 So I went to Trader Joe's before everyone starts freaking out and emptying stores. 
It was a normal good shopping trip. 
Well, with everyone in masks but that, for now, is the normal... As good as it was...
....However they had no masala burgers nor their frozen cod, both are esp good.
 I did, however, get many wonderful things for the pantry! 
And a few things for the freezer!
I took light rail most of the way, then, when faced with a nearly 1 mile walk,
I realized I was feeling quite tired and ordered a cab instead...
and because of that, and construction,
we were at a stop for a good while...
I saw this pretty bicycle and realized immediately that it was put in memorial
of someone who must have died there on a bike... 

Then I realized what town I was now in,
and that one of our dear quilt guild members had been from that town
and has been biking to another town (NJ has many small towns) 
where her quilt shop was when she was struck by a truck
while on her small low bicycle and died as of a result.
So I looked more carefully and this was actually
the very memorial for +Peggy, the quilt guild member who 
everyone enjoyed being part of the the group with her
and that this was where she had died, nearly a year ago.
I was so surprised as to actually know (and care about,
we pray for her as departed every day!) the person who was being 
remembered in this way... 
So my trip to Trader Joe's, +Peggy was very much on my mind...
May God have mercy on her!

_Records of molecules, kept here for reference_
Entry 1:
One molecule with the formula C2H7N3O2S. Source: the OMol25 dataset; level of theory: the ωB97M-V functional and the def2-TZVPD basis.

Summary:
SMILES: CO/N=C(\NO)NS
HOMO level (eV): -8.5
Multiplicity: 1
E (Eh): -793.1195
Kohn-Sham gap (eV): 8.993

XYZ file:
```
15
Properties=species:S:1:pos:R:3:forces:R:3:lowdin_charge:R:1
S 3.229431 -0.406960 -0.156540 1.394 -1.076 -2.623 0.702
H -3.596548 0.048270 -0.822082 1.830 -1.331 2.797 0.131
N -0.618925 -0.738527 0.094818 2.937 0.438 -0.073 0.072
H 2.108439 2.287210 0.095181 -0.717 -0.584 -0.478 0.086
N 1.722212 -0.612716 0.474845 2.794 -5.638 4.265 -0.430
H -3.031656 -0.323364 1.169618 -0.227 0.312 -2.414 0.097
O -1.538077 0.297902 -0.222834 -3.010 -3.141 0.352 -0.282
C -2.814552 -0.426635 0.015795 -1.068 0.393 -0.180 -0.098
C 0.566344 -0.175378 0.013890 -3.556 1.506 0.136 -0.518
H -2.701890 -1.586941 -0.086072 -0.024 2.380 -0.465 0.085
H -0.347259 1.433712 -0.537040 -0.495 0.582 -0.368 0.092
O 1.201415 2.063316 0.384195 0.836 0.538 1.045 -0.048
H 1.847977 -1.474530 1.232158 -1.711 3.111 -2.672 0.182
H 3.384062 -1.508963 -1.216346 -0.565 1.965 1.900 -0.052
N 0.589020 1.123611 -0.439582 1.583 0.544 -1.221 -0.021
```
Forces are in eV/Å.

=====

Entry 2:
C25H26N9O2SSbSn as an isolated structure. Source: the OMol25 dataset; level of theory: the ωB97M-V functional and the def2-TZVPD basis.

Summary:
HOMO level (eV): -13.6
Multiplicity: 1
Net charge: +2
E (Eh): -2463.7513
Kohn-Sham gap (eV): 8.362

XYZ file:
```
65
Properties=species:S:1:pos:R:3:forces:R:3:lowdin_charge:R:1
C -3.631015 -0.549150 2.348364 0.003 0.012 0.018 -0.057
C -1.847368 1.583278 2.176412 0.028 0.033 -0.028 -0.119
N 0.122274 -4.288596 -1.294287 -0.024 0.050 0.082 0.068
C -0.374560 -5.129811 -2.225231 0.011 -0.008 -0.072 -0.356
H -1.596081 -6.646987 -2.806656 -0.022 -0.016 0.018 0.137
H -4.647730 3.694122 -4.378305 -0.002 0.002 0.002 0.118
N 0.138640 -4.985555 -3.456577 -0.011 -0.004 0.028 -0.005
H 0.727364 -3.373645 -4.444678 0.000 0.001 -0.004 0.103
H -1.683613 -6.199505 -1.121394 -0.008 -0.005 -0.001 0.105
C 3.648331 -0.307183 1.884265 0.066 -0.014 -0.081 -0.306
C -2.885370 -0.367166 1.193101 -0.024 -0.014 -0.012 -0.134
C 0.382603 3.650998 -0.034569 -0.062 -0.005 0.015 -0.115
S -0.173833 -0.977115 -1.612750 -0.064 0.001 -0.006 0.007
H 6.681794 0.763912 1.910213 0.010 -0.009 -0.015 0.128
H -2.504149 2.092173 4.151950 0.001 0.005 0.005 0.116
C -3.479566 2.324009 -1.515720 0.015 -0.026 0.046 -0.112
H -1.147608 2.409332 2.120852 -0.001 0.010 -0.011 0.099
N 1.088200 -4.005118 -3.740133 0.010 0.021 0.018 0.060
C 2.732612 4.091031 0.212794 0.049 -0.012 0.004 -0.051
C 5.306128 -0.325846 0.525962 0.054 0.041 -0.020 -0.105
N -0.357294 -4.331844 -0.056067 0.070 0.016 -0.020 -0.404
Sb -0.915241 0.992827 -0.650413 0.044 0.158 -0.008 1.348
C -1.849189 2.135117 -3.297476 0.054 -0.013 0.025 -0.117
C 2.311105 -0.550559 2.385083 -0.089 0.005 -0.023 -0.258
N 1.393359 -1.193792 1.675609 -0.126 0.038 -0.011 -0.037

I took these pictures for my niece R. who had not known, until this week
when I talked to her, that there were WHITE pumpkins.
She calls them Pum-Cans.  It's really cute.  (She's nearly 4 years old).

So I got everything I wanted to get, that was in stock anyway,
and a few extra special things, and was reading the signs with 
instructions about bags and realized with a start and a worrying shock...

I had forgotten ALL about my pink cart because they only had the smaller
shopping carts (i.e. I could not put my pink cart towards the back of it, like I would otherwise; 
and I took the pictures of the cute pumpkins and then
went off with my shopping cart, forgetting my pink cart while
thinking about +Peggy and navigating the aisles, 
discovering that the masala burgers and breaded cod were no where
to be found and nearly crying because they were two of the main reasons 
I had come...of course that did not stop me from filling up my shopping cart...!
Thank God, my pink cart was still sitting there, all forlorn, right by
the pumpkin display where I had left it.
I had not realized I did not have it until I was in the line for checking out!
I was quite relieved to find it, still there, with the pumpkins...

I went home by cab, the cab driving earning his tip for sure
by putting my now heavily laden pink cart in this trunk...
I put the frozen things (other than 1 box of fish +
chicken pot pies for tomorrow) in the garage freezer
and then coming up and putting the frozen things away,
quickly got lunch ready,
tuna fish on toast, a salad on the side 
and right as I was ready for lunch, I 
learnt that my Husband's meeting had been moved up
and he had a mere 15 minutes to eat!
Well, after lunch, I called my Grandma and learned happily 
that my Great Aunt P. had gotten permission to go with her daughter P
to her cottage on Lake Michigan, 
where she usually goes up once/week in the summer months
and she got to see that some of her furniture was there, and 
her everyday dishes, from her house that she sold to another daughter, C. 
Aunt P has barely been out since lockdown happened 
and she moved to her (thankfully two room now, at the beginning
she only had one room) room at a nice nursing home (she has her own
small fridge and such there).  
So that was VERY special for her and I am SO VERY thankful for that.
And I found out later via my Mom that my Great Aunt R. has a buyer for her house,
so that is very good news...and my parents had a successful day going down to 
Amish country where they bought various things for the winter months in terms
of food (tea, soup mixes, oatmeal, the like of this). 
We found out last night that my Uncle An. (one of my Mom's 4 older brothers) 
was having heart surgery for a pacemaker to be put in;
I sure hope that went well.... We've all been praying...
We had breaded Tilapia for dinner with salad and toast...
I was going to make potato wedges but forgot that we are taking our daily
walk earlier in the day because the light is gone so much earlier now
so toast with fish is was! 
It was to celebrate St John the Evangelist and Theologian...
you know, the one who wrote the Gospel of John and two of the smaller,
but most wonderful, letters in the New Testament in the Bible... :)
I was glad to stock up on things like olive oil, my favourite bath gel 
and some hand cream now that winter is soon coming...
We've been preparing for the virus to spike again, really,
we've been preparing here and there all summer...
our pantry and freezer is well stocked... 
I am really thankful... 
And I am so thankful DV for Canadian Thanksgiving...
tomorrow I hope to prep the following...
~Green Bean Casserole 
~Turkey Breast (bone-in)
Also get the small crock-pot out hot apple cider, 
which I forgot to mention as one of our drink options when I typed out
our menu! And find the spices for this!
Well, I best get off to bed now! 
I am thankful that God's mercy is new every morning.
May God have mercy on us all! 


Gretchen Joanna said...

HAPPY THANKSGIVING! What a great blessing, to see the memorial and remember Peggy. +

That pumpkin display is impressive!! I haven't seen such a beautiful one yet this year.

I just talked to my cousin at her beach house in New Jersey last night, and it seemed as we compared notes that there are still more cases of the virus there than in my area of California. I have been dreaming about masks for many nights. :-(

Granny Marigold said...

Happy Thanksgiving to you and your husband.
The bicycle memorial to your friend Peggy is pretty and so amazing that you just came upon it not knowing at first who it was for.
Great that you could go to Trader Joe's and get more lovely 'stuff'.
Luckily your pink shopping cart was waiting safely for you right where you left it.

Paula said...

Happy Thanksgiving!! Mom's coming over tomorrow and I'm doing a turkey breast too. They are trying to keep a lid on things and we're only supposed to have Thanksgiving with our household, so no big dinner with the in-laws this year.

That's a lovely memorial for your friend Peggy.

I actually left my purse! in the cart in the parking lot at the grocery store a couple of months ago. Luckily I was just on the edge of town when I realized it and thank God someone had returned it to the mall. What a panic!

Your niece would be amazed at our pumpkin selection back when we did the markets. Blue, marble green, red Cinderella, swan shaped, and white so many different kinds.

Gloria said...

Hello Elizabeth! A very happy Thanksgiving Day to you. It sure sounds like you are enjoying some very yummy treats. One of the nice things about holiday feasts is that we get enjoy all thous once a year special meals with the loved ones in our life. May if be a blessed day for you.

Lisa said...

I was at the dollar store yesterday and paid for two items. I prepared to leave the store, when the checkout girl had to remind me that I was about to leave my things behind! Good grief. But I'm glad to know I'm not the only one who's forgetful sometimes. :D